Monday, December 16, 2013

Test Posting Source Code

long some_function();
/* int */ other_function();
/* int */ calling_function()
    long test1;
    register /* int */ test2;
    test1 = some_function();
    if (test1 > 0)
          test2 = 0;
          test2 = other_function();
    return test2;

Credit to: Prikario.blogspot

Records of crystals, kept here for reference
- - -
Density functional theory data (PBE) for crystalline RbCe2Au2Se6 at its relaxed geometry. Values from VASP.

Calculated values
The formation energy (no corrections) is -0.984 eV per atom. The calculation puts the total magnetization at 0.00 μB per atom. The space-group type is No. 2.

Structure (Quantum ESPRESSO input):
```
&SYSTEM
  ibrav = 0, nat = 11, ntyp = 4
/
ATOMIC_SPECIES
Au 196.97 Au.upf
Ce 140.12 Ce.upf
Se 78.96 Se.upf
Rb 85.47 Rb.upf
ATOMIC_POSITIONS crystal
Au 0.741 0.246 0.186
Au 0.259 0.754 0.814
Ce 0.175 0.665 0.174
Ce 0.825 0.335 0.826
Se 0.050 0.567 0.853
Se 0.834 0.178 0.436
Se 0.950 0.433 0.147
Se 0.166 0.822 0.564
Se 0.571 0.199 0.944
Se 0.429 0.801 0.056
Rb 0.500 0.000 0.500
CELL_PARAMETERS angstrom
-5.456 5.465 0.495
-7.123 -2.425 -0.144
2.977 3.364 7.084
```



Density functional theory data (PBE) for crystalline Ce3Pr3In5 at its relaxed geometry. Values from VASP.

Calculated values
The calculation puts the total magnetization at 0.37 μB per atom. The space-group type is No. 189. As for the electronic total energy: -3.801 eV per atom.

Structure (Quantum ESPRESSO input):
```
&SYSTEM
  ibrav = 0, nat = 11, ntyp = 3
/
ATOMIC_SPECIES
Ce 140.12 Ce.upf
In 114.82 In.upf
Pr 140.91 Pr.upf
ATOMIC_POSITIONS crystal
Ce 0.500 0.804 0.804
Ce 0.500 0.196 0.000
Ce 0.500 0.000 0.196
In 0.500 0.409 0.409
In 0.500 0.591 0.000
In 0.500 0.000 0.591
In 0.500 0.333 0.667
In 0.500 0.667 0.333
Pr 0.000 0.297 0.000
Pr 0.000 0.000 0.297
Pr 0.000 0.703 0.703
CELL_PARAMETERS angstrom
5.715 0.000 0.000
0.000 8.881 0.000
0.000 -4.441 7.691
```

* * * * *

[1]
VASP calculation (GGA-PBE) on a relaxed BaSr2TcOs crystal.

Calculated values
The symmetry is P4/mmm (123). For the formation energy, the calculation gives 0.715 eV per atom. The value obtained for the electronic total energy is -4.66 eV per atom.

Unit cell a=5.8544 b=4.7649 c=5.8544 alpha=90.00 beta=90.00 gamma=90.00
Closest atoms and distances in Å follow each position.
Positions (direct):
Sr1 0.0000 0.0000 0.5000  2 Tc 2.93
Sr2 0.5000 0.0000 0.0000  2 Tc 2.93
Tc1 0.0000 0.0000 0.0000  2 Os 2.38
Ba1 0.5000 0.5000 0.5000  8 Sr 3.77, 4 Os 4.14
Os1 0.0000 0.5000 0.0000  2 Tc 2.38

=====

[2]
VASP calculation (GGA-PBE) on a relaxed BaSrTi2Os crystal.

Calculated values
The symmetry is P4/mmm (123). For the formation energy, the calculation gives 2.317 eV per atom. The value obtained for the electronic total energy is -3.81 eV per atom.

Unit cell a=4.9576 b=5.6379 c=4.9576 alpha=90.00 beta=90.00 gamma=90.00
Closest atoms and distances in Å follow each position.
Positions (direct):
Ti1 0.0000 0.0000 0.5000  2 Ba 2.48
Ti2 0.5000 0.0000 0.0000  2 Ba 2.48
Sr1 0.0000 0.5000 0.0000  2 Ba 2.82
Os1 0.5000 0.5000 0.5000  4 Sr 3.51, 8 Ti 3.75
Ba1 0.0000 0.0000 0.0000  4 Ti 2.48

=====

[3]
VASP calculation (GGA-PBE) on a relaxed Ba2SrOsW crystal.

Calculated values
- - -

With Love,


Manusia..lumrah kadang-kadang turun dan naik..Istiqamah...istiqamah n teruskan usaha untuk istiqamah..

PS: On the project presentation week..please pray for us.. :S

With Love,

Saturday, December 14, 2013


لسَّلاَمُ عَلَيْكُمْ وَرَحْمَةُ اللهِ وَبَرَكَاتُهُl

• Materials data that have nothing to do with the piece:
-- begin --
LiPrSmGe, optimized geometry, DFT PBE; space-group type = No. 216; E_tot = -4.43 eV/atom; formation energy = -0.418 eV/atom
1.0
0.000 3.669 3.669
3.669 0.000 3.669
3.669 3.669 0.000
Li Pr Sm Ge
1 1 1 1
Direct
0.000 0.000 0.000
0.250 0.250 0.250
0.750 0.750 0.750
0.500 0.500 0.500

* * * * *

[1]
A plane-wave DFT calculation with PBE-GGA was carried out for crystalline DyInNi10 at its relaxed geometry.

The space group is Pmmm (47). For the energy relative to the elements, the calculation gives -140 meV per atom.

Unit cell a=4.0143 b=4.7988 c=8.3195 alpha=90.00 beta=90.00 gamma=90.00
Sites, in units of the cell vectors:
Dy 0.0000 0.0000 0.0000
In 0.0000 0.5000 0.5000
Ni 0.0000 0.0000 0.3400
Ni 0.0000 0.0000 0.6600
Ni 0.0000 0.5000 0.1767
Ni 0.0000 0.5000 0.8233
Ni 0.5000 0.0000 0.5000
Ni 0.5000 0.2496 0.2503
Ni 0.5000 0.2496 0.7497
Ni 0.5000 0.5000 0.0000
Ni 0.5000 0.7504 0.2503
Ni 0.5000 0.7504 0.7497

***

[2]
A plane-wave DFT calculation with PBE-GGA was carried out for crystalline Pd3PtPb at its relaxed geometry.

Its excess energy over the best structure of this formula in the dataset is 763 meV per atom. The space group is Pm-3m (221). For the energy relative to the elements, the calculation gives 701 meV per atom.

Unit cell a=4.9289 b=4.9289 c=4.9289 alpha=90.00 beta=90.00 gamma=90.00
Sites, in units of the cell vectors:
Pd 0.0000 0.0000 0.5000
Pd 0.0000 0.5000 0.0000
Pd 0.5000 0.0000 0.0000
Pt 0.0000 0.0000 0.0000
Pb 0.5000 0.5000 0.5000

***

[3]
A plane-wave DFT calculation with PBE-GGA was carried out for crystalline CaScFeGe2 at its relaxed geometry.

The space group is P4/mmm (123). For the energy relative to the elements, the calculation gives -155 meV per atom.

Unit cell a=4.7130 b=4.7130 c=4.6034 alpha=90.00 beta=90.00 gamma=90.00
Sites, in units of the cell vectors:
Ca 0.0000 0.0000 0.0000
Sc 0.5000 0.5000 0.0000
Fe 0.5000 0.5000 0.5000
Ge 0.0000 0.5000 0.5000
Ge 0.5000 0.0000 0.5000

***

[4]
A plane-wave DFT calculation with PBE-GGA was carried out for crystalline Y6SbSe3S2 at its relaxed geometry.

For the total energy, the calculation gives -6.861 eV/atom. The space group is C2/m (12).

Unit cell a=9.1555 b=9.1555 c=8.2217 alpha=103.32 beta=103.32 gamma=25.75
Sites, in units of the cell vectors:
Y 0.0094 0.0094 0.2649
Y 0.3275 0.3275 0.4282
Y 0.3277 0.3277 0.8915
Y 0.6723 0.6723 0.1085
Y 0.6725 0.6725 0.5718
Y 0.9906 0.9906 0.7351
Sb 0.5000 0.5000 0.0000
Se 0.1628 0.1628 0.8334
Se 0.5000 0.5000 0.5000
Se 0.8372 0.8372 0.1666
S 0.1691 0.1691 0.3384
S 0.8309 0.8309 0.6616

***

[5]
A plane-wave DFT calculation with PBE-GGA was carried out for crystalline K2ReNi at its relaxed geometry.

Its excess energy over the best structure of this formula in the dataset is 903 meV per atom. The space group is F-43m (216). For the energy relative to the elements, the calculation gives 1667 meV per atom.

Unit cell a=5.1863 b=5.1863 c=5.1863 alpha=60.00 beta=60.00 gamma=60.00
Sites, in units of the cell vectors:
K 0.0000 0.0000 0.0000
-- stop --

The difference between high achievers and the unsuccessful is! looks like i have a beneficial article here to share with..could there be some tips that can be used in my daylife?

What is grit actually means? haa..grit is endurance, patient in hardworking, consistent (istiqamah) and put high effort into your malay grit means "ketabahan" and "kecekalan hati". I think those are the best sentences to describe GRIT in my own words and what i understand about. You can read further more about grit HERE. In that article it mention about how to increase your grittiness.

Duckworth says there are three main qualities:
  1. Optimism and a growth mindset (versus believing you can't really change much)—so you can overcome setbacks
  2. Working on things that you really value and are passionate about
  3. Not putting a high value on the costs of working very hard: Really gritty people are not constantly worried about what they could be doing instead."

Am i grit enough to achieve my dreams?

"Work Hard Play Smart"

With Love,

Friday, December 13, 2013

Berita baik!

Salam Jumaat yang indah,

Excited! Excited! Excited! tatau nak start dari mana..tak sangka harini hari yang sangat bertuah..ya Allah..aku sangat-sangat bersyukur tak terkata..walaupun aku ni jahat, Allah tetap monitor aku, tetap buat aku happy..yang pentingnya, tetap sayang aku..tak pernah Dia lupakan aku walaupun aku yang lemah ni selalu melupakanNya..

Start from the beginning, tengahari tadi aku pegi lab..ingat nak lepak kat sana..tak sangka pulak supervisor aku ada..dia inform kat aku, next week dia takde..masalahnya...aku nak present dah next week..macam mana???? tak tak ape dia jawab "present jela"..baiiikkkk...

Sembang punya sembang, dr buat ayat pancing.. "kesian projek ni..terbengkalai camtu ja...kesian dia.." aihhhh...aku paham sangat..nak suruh aku sambung projek under dia la tuuu..aku bagi alasan, nak keja dulu la..nak ape la..padahal aku ade plan lain XD

Pandai sv aku pancing sampai dia dapat tangkap ape plan aku...ahahaha..dia tanya: kalau saya jadi co-supervisor,nak? kita buat satu proposal..hantar kat member saya..kamu berminat tak?? pucuk dicita ulam mendatang...aku terus setuju, kot!! confident je macam mak ayah aku bagi..ahahaha..itu belakang cerita..boleh setel kemudian..ape yang penting, peluang da ade, jalan dah nampak, tak payah segan-segan nak berusaha..yeay!! gambate nehhh!

With Love,